
Bitcoin’s Last Push For a Local Top?

Dr. Arnout Ter Schure
Published: Dec 1, 2023, 19:21 GMT+00:00

The current move above the November 9 high means Bitcoin will ideally target around $41K before we see a ~25% haircut.

Bitcoin, FX Empire

In this article:

Why One Must Always Have an Alternative

(Attached: materials data)
This entry pairs a crystal structure of CdNiP with its theoretical X-ray diffraction stick pattern. Radiation: Cu Kα, 1.54184 Å. Structure: a PBE-relaxed structure.

Structure:
Cell lengths 6.019, 6.019, 6.019 Å; angles 90.00, 90.00, 90.00 degrees
Space group F-43m (No. 216)
Unique sites:
Cd  0.000  0.000  0.000 (multiplicity 4)
Ni  0.250  0.250  0.250 (multiplicity 4)
P  0.250  0.250  0.750 (multiplicity 4)

Main lines, sorted by position (2θ = 5–70°):
d (Å)  intensity
3.475  85
3.009  1
2.128  100
1.815  39
1.505  16
1.381  15

Two weeks ago, see here, we showed, by using the Elliott Wave Principle (EWP), that a local top for Bitcoin (BTC) was approaching and found,

“…[it] could thus have peaked for the green W-1, with W-2 down to ideally $30.5+/-2K now underway. … it still requires at least a daily close below the 20-day Simple Moving Average (SMA) followed by a move below at least $34118 to confirm the local top is in place. … The alternative remains that BTC needs to wrap up one more set of a 4th and 5th wave before the larger W-2 pullback occurs. … This sequence would target slightly higher at around $40K. It will require a break above the November 9 high to confirm while holding above the critical $33406 level.”

Fast forward, and the cryptocurrency only closed below the 20-d SMA once on November 21. Thus, it gave a first warning, but it never closed below the more critical $34118 level, so we remained long. And remember, price levels are one’s trade-triggers. Not opinions, sentiments, divergences, etc. Then, on November 24, BTC moved above the November 9 high. Thus, with the continued grind higher, albeit overlapping, BTC is now in that “one more set of 4th and 5th waves”; the alternative has become our primary. See Figure 1 below.

Figure 1. The daily chart of BTC with several technical indicators


Fibonacci-based Target Zones

The critical part is the word “overlapping.” Namely, BTC is likely forming an ending diagonal (ED) 5th wave. Red W-v is subdividing into five smaller (green) waves, with W-1 and W-2 complete and W-3 underway. In an ED, the 3rd wave often targets the 1.236x Fibonacci extension of W-1, measured from the W-2 low, whereas the 4th and 5th waves often and ideally target the 0.618 and 1.618x extensions.

Thus, W-3 should ideally reach around $39500, then a pullback for W-4 to ~$37750 followed by the last hurray -W-5 of W-v of W-1- to ideally ~$41050. The technical indicators will then be set up similarly to the mid-February (black) W-1 high. Like then, we should expect the current (black) W-1 to top out as well and the (black) W-2 to ideally the 50-62% retracement of W-1 at $31-33K should commence before the W-3 to most likely new ATHs kicks in. Note the previous W-2 – the March low- was also a 62% retracement.

As you may recall, we have been Bullish on BTC for quite some time, and our prognostications in recent updates have continued to come to fruition. However, our Bullish scenario is entirely invalidated below $25K. This price level is our insurance level to prevent potentially more extensive havoc on our portfolio. However, only when that happens will we change our overall, longer-term Bullish POV, which BTC is proving more and more correct for each update we provide in that,

Based on BTC’s past cycles, made up of four more minor phases, it is currently in the accumulation phase and thus close to the next Bull run, which can target $100-200+K by the end of 2025.”

About the Author

Dr. Ter Schure founded Intelligent Investing, LLC where he provides detailed daily updates to individuals and private funds on the US markets, Metals & Miners, USD,and Crypto Currencies
